**Activity**
The reader should search the notes further down for the word "No" and write out each line that has it.

**Material**
No. 1
{
  "formula": "C4H12OS2",
  "method": "ωB97M-V with the def2-TZVPD basis set",
  "smiles": "CCSSCC.O",
  "e_tot_ev": -28060.407,
  "lumo_energy_ev": 0.62,
  "multiplicity": 1,
  "gap_ev": 9.295,
  "elements": ["C", "C", "S", "S", "C", "C", "H", "H", "H", "H", "H", "H", "H", "H", "H", "H", "H", "H", "O"],
  "positions_angstrom": [[1.01389, -3.32986, -0.98314], [1.02903, -1.79677, -0.79257], [1.04931, -1.33191, 0.95382], [-0.94568, -0.90362, 1.32996], [-1.09360, 0.80563, 0.68465], [-0.69877, 1.14278, -0.72719], [0.46823, -3.62089, -1.88608], [2.03240, -3.65338, -1.10580], [0.58707, -3.79589, -0.11141], [1.91834, -1.36115, -1.21361], [0.17707, -1.41366, -1.32678], [-0.54774, 1.37201, 1.42321], [-2.11117, 1.04340, 0.96659], [0.35928, 1.29226, -0.78250], [-0.87435, 0.43667, -1.52687], [-1.17571, 2.07206, -0.99574], [-0.09362, 5.38969, -2.11617], [-0.37820, 6.67390, -1.38399], [-0.72959, 6.11137, -2.09350]],
  "forces_ev_per_a": [[0.2, 0.7, -0.4], [-0.2, -1.2, -0.1], [-0.6, 0.5, 0.2], [0.5, -0.1, -0.7], [-0.1, -0.7, 1.2], [0.1, 0.1, -0.1], [0.0, 0.1, 0.2], [0.4, -0.5, 0.1], [-0.2, -0.3, 0.2], [0.4, 0.2, -0.3], [-0.3, 0.6, 0.2], [0.6, 0.5, -0.1], [-0.6, 0.0, -0.5], [0.8, 0.3, 0.1], [-0.7, -0.4, 0.2], [-0.1, 0.4, -0.2], [-0.1, -0.1, -0.1], [-0.3, -0.1, -0.3], [0.4, 0.2, 0.5]],
  "lowdin_charge": [-0.1612, -0.6125, 0.4892, 0.4811, -0.6046, -0.1600, 0.0715, 0.0578, 0.0496, 0.0558, 0.0372, 0.0529, 0.0553, 0.0597, 0.0607, 0.0683, 0.0263, 0.0398, -0.0669]
}

***

No. 2
{
  "formula": "C7H16O",
  "method": "ωB97M-V with the def2-TZVPD basis set",
  "e_tot_ev": -9557.624,
  "lumo_energy_ev": -2.24,
  "multiplicity": 1,
  "gap_ev": 3.613,
  "elements": ["C", "C", "C", "C", "C", "C", "C", "H", "H", "H", "H", "H", "H", "H", "H", "H", "H", "H", "H", "H", "H", "H", "H", "O"],

**Completed**
No. 1
No. 2